Apple Music is missing the boat on the Spotify feature I use the most
The streaming music service has many competitors but none more rigid than Spotify, which has gained influence as the leader in this realm over the past year or so.
I've used many different services, and since they all have the same core functionality, I've found it's the user interface and general ideology of presentation that sets each one apart from the other. My favorite among them has been Spotify.
I've started playing with Apple Music and I like it a lot. I like the basic user interface (it's very pretty), the way your music integrates with the app, and the new music discovery tab (which is far better than Spotify's options). But it's all in the presentation and the ideology. And the main reason I have loved being a Spotify subscriber is playlists.
Wonderfully curated, perfectly timed, and intelligently divided depending on what mood you may be in or what you're doing. Spotify is the king of curated playlists.
Next to the page, the page also holds calculated molecules
********
(1)
A molecular structure, C32H74Br6N6O20P2. Source: the Open Molecules 2025 dataset; level of theory: the ωB97M-V functional and the def2-TZVPD basis.

Calculated values
E_LUMO   -0.22 eV
Total energy   -19223.88537 a.u.

XYZ file:
```
140
Properties=species:S:1:pos:R:3:lowdin_charge:R:1
C 1.0646 -0.7437 -7.7524 -1.545
Br -0.7973 -0.6969 -7.1617 0.559
Br 1.4391 -1.6301 -9.4536 0.663
Br 2.0081 -1.6769 -6.3307 0.559
H 1.5591 0.2194 -7.7149 -0.046
C 3.2886 8.2811 -10.4795 -1.521
Br 3.2457 8.9912 -8.6451 0.547
Br 2.5325 9.6215 -11.7217 0.572
Br 2.1920 6.6844 -10.5934 0.565
H 4.2933 8.0508 -10.8152 -0.045
O -0.2747 1.4792 -14.1484 -0.264
P 0.6426 2.1012 -13.1730 0.527
N 2.2334 1.6567 -13.5212 -0.291
C 2.5232 0.3191 -14.0034 -0.102
C 3.3909 2.3716 -12.9740 -0.110
N 0.3511 1.7327 -11.5911 -0.279
C 1.1611 2.2439 -10.4825 -0.101
C -0.6841 0.7570 -11.2457 -0.113
N 0.7109 3.7662 -13.2976 -0.295
C 1.0769 4.3057 -14.5911 -0.104
C -0.1980 4.5969 -12.5136 -0.109
H 2.9482 0.3420 -15.0129 0.082
H 1.6568 -0.3386 -14.0067 0.075
H 3.3268 -0.0873 -13.3786 0.068
H 3.1925 3.4247 -12.7801 0.054
H 4.1943 2.3200 -13.7092 0.090
H 3.6305 1.9076 -12.0119 0.070
H 1.5618 3.2325 -10.6932 0.061
H 0.6035 2.2155 -9.5436 0.084
H 1.9705 1.5412 -10.2465 0.060
H -1.5186 0.8624 -11.9398 0.073
H -0.3658 -0.2812 -11.2789 0.029
H -1.1255 0.9883 -10.2739 0.078
H 2.1117 4.1296 -14.8941 0.060
H 0.4733 3.8782 -15.3991 0.074
H 0.9704 5.3889 -14.6798 0.084
H -0.3833 4.1705 -11.5300 0.069
H -1.1211 4.6592 -13.1000 0.084
H 0.2590 5.5747 -12.3644 0.025
O 6.1470 8.3935 -12.7484 -0.290
P 6.3410 7.3943 -13.8210 0.578
N 7.5921 7.7506 -14.9266 -0.318
C 7.9249 6.8135 -15.9867 -0.126
C 8.2923 9.0285 -14.9562 -0.106
N 5.0276 7.1652 -14.8733 -0.297
C 4.1253 8.3031 -15.0749 -0.118
C 4.5890 5.9344 -15.5083 -0.109
N 6.6680 5.8147 -13.2740 -0.310
C 7.9975 5.3859 -12.8322 -0.106
C 5.6324 5.1588 -12.4617 -0.112
H 9.0062 6.7905 -16.1342 0.083
H 7.3795 6.9492 -16.9233 0.082
H 7.6925 5.7963 -15.6591 0.062
H 7.9523 9.5879 -14.0819 0.069
H 7.9705 9.6392 -15.8033 0.081
H 9.3627 8.8340 -14.8914 0.080
H 4.6583 9.2526 -15.0257 0.080
H 3.6587 8.2210 -16.0582 0.083
H 3.3168 8.2758 -14.3435 0.043
H 4.2398 6.1047 -16.5256 0.089
H 5.3971 5.2153 -15.3682 0.071
H 3.7446 5.4904 -14.9641 0.050
H 8.6959 5.8429 -13.5344 0.068
H 8.1760 5.7262 -11.8066 0.087
H 8.1727 4.3099 -12.8137 0.084
H 4.6529 5.2113 -12.9377 0.052
H 5.5632 5.6270 -11.4723 0.075
H 5.9433 4.1241 -12.3253 0.082
C -1.3923 -3.0847 -14.7551 -0.033
O -1.6810 -2.1557 -13.7175 0.007
C -2.0960 -2.6675 -12.5794 -0.635
O -2.0574 -3.8343 -12.2851 0.129
O -2.5973 -1.6992 -11.8219 -0.012
C -3.0094 -2.0842 -10.5202 -0.052
H -0.5348 -3.6930 -14.4679 0.096
H -1.2214 -2.5524 -15.6840 0.080
H -2.1883 -3.8080 -14.9382 0.102
H -2.2031 -2.5170 -9.9211 0.084
H -3.7037 -2.9271 -10.5169 0.096
H -3.4238 -1.2143 -10.0240 0.093
C 1.3616 10.6120 -15.1383 -0.034
O 0.8310 9.3078 -15.3786 -0.035
C -0.4408 8.9578 -15.1708 -0.621
O -1.3092 9.6692 -14.7509 0.142
O -0.5683 7.7277 -15.6260 -0.015
********
Back to the page
This just doesn't work well in Apple Music right now. And since I believe this is Spotify's best feature, Apple's really going to have to do some convincing.
== Inserted here: molecular data ==
~~~
1.
Here is the molecule C4H7NO at a distorted geometry from the Open Molecules 2025 dataset. Energies are from ωB97M-V/def2-TZVPD.

- energy relative to the best compared isomer or geometry (same formula, charge and spin) (eV) = 4.328
- SMILES = O[C@H]1C[C@H]2N[C@@H]12
- gap between HOMO and LUMO (eV) = 9.820
- HOMO (eV) = -8.818

Cartesian coordinates (Å):
H  -1.97126  -1.08411  0.13724
H  -1.81880  0.83003  1.33570
C  0.91806  0.19837  -0.60482
N  -0.86882  0.50277  1.09028
H  -0.46125  1.95138  -0.60762
H  0.08064  -1.76656  -1.09214
O  1.79638  0.75315  0.33701
C  -1.03237  -0.51462  0.17986
C  -0.44337  0.85111  -0.62881
H  1.22145  0.97740  1.08922
H  0.84188  -1.69591  0.53783
C  0.27833  -1.14908  -0.21598
H  1.45912  0.14607  -1.55778

Here are the Löwdin charges for atoms 1 to 2, given in e: 0.135, 0.098

---

2.
Here is a structure of composition C36H51GaGeN5O5PS at a distorted geometry from the Open Molecules 2025 dataset. Energies are from ωB97M-V/def2-TZVPD.

- energy relative to the best compared isomer or geometry (same formula, charge and spin) (eV) = 0.846
- net charge = +1
- spin multiplicity = 2
- gap between HOMO and LUMO (spin up / spin down) (eV) = 6.857 / 8.948
- HOMO (spin up / spin down) (eV) = -8.915 / -11.185

Cartesian coordinates (Å):
C  17.40882  15.07129  13.49753
H  9.91746  13.38431  7.12263
H  14.37354  11.86782  18.33477
H  15.20756  7.80550  14.30293
C  7.02041  15.15512  7.25417
H  16.27119  7.84863  12.92649
H  11.43613  11.87683  11.75872
C  17.13896  9.80342  9.30327
C  13.52582  17.96221  9.42762
C  14.39893  8.83246  12.52388
C  12.96083  17.73696  10.65692
H  16.69742  13.48558  14.80450
Ge  10.80329  14.07634  9.93108
H  14.26668  18.75525  9.26710
H  12.95130  8.62280  13.94718
H  8.00421  15.32421  10.45446
H  17.73234  16.22918  11.84602
H  9.96984  12.99830  15.46297
H  9.41473  15.57601  12.20019
H  13.76092  15.04510  19.69082
C  17.86726  12.16809  9.49293
H  8.74766  14.76006  14.62006
S  13.38501  15.42641  14.29353
H  16.69984  13.85736  11.24048
C  11.85307  15.72939  9.77995
H  14.48939  13.79590  10.76287
H  18.44350  11.96453  10.37186
H  11.61412  16.57176  11.81184
H  13.10308  10.30993  13.61946
N  11.73590  12.62474  9.23372
H  13.00295  7.64570  11.50973
C  14.46793  12.22828  16.28990
H  15.17235  10.83879  7.83900
C  13.36082  13.70365  17.87975
O  16.76656  11.26821  12.51919
N  14.82167  14.57136  11.38787
H  12.43144  15.33009  16.95835
C  12.39621  16.01837  8.52774
C  7.03293  15.40084  8.63075
P  15.50862  11.22254  11.77392
C  15.98119  11.59401  7.95462
H  15.30673  10.31803  16.68035
C  9.70587  14.57854  12.57003
N  16.60416  13.78326  13.81227
C  9.35604  14.21180  13.92081
H  17.75452  9.69462  10.20542
C  8.08318  15.01167  9.39495
C  16.26603  14.83789  11.21316
H  16.00902  9.27662  13.92912
C  10.50686  13.77518  11.79547
H  14.64589  7.61800  10.80823
H  16.13006  16.57303  12.59111
H  14.17192  6.83090  12.43961
H  12.21072  15.24589  7.76681
~~~
Here's how they work in both apps:
First, there is a carousel on top (pictured left) that gives you a number of suggestions tailored to the time of day and the mood you may be in. For example, an "Evening Commute" playlist, or "Smooth Morning," or maybe "Rock to Work."
Then, if you scroll down, you see a number of different categories all of which, when you tap them, reveal playlists.
So, for example, you can tap "Mood," and see tons of awesome Spotify curated playlists geared towards making you happy, or songs that identify with your deep sorrows, etc. There's also "Workout," "Chill," "Party," and many others. They are certainly not confined to genres, but focused more on your state of mind. That's a feature I really appreciate to the point that it's almost the only way I use Spotify.
The "For You" tab is where Apple puts the focus of the music app. Here you will see suggestions, based on selections you made initially, on what to listen to. These are often genre playlists, or playlists for specific artists.
Now, Apple, says this "For You" tab is supposed to get better over time. In theory, it notices your behavior on the app and starts giving you better and better selections. Time will tell how well that happens.
However, mood or activity based playlists do in fact exist on Apple Music. But you have to go digging.
For example, I can search for "morning" and then after some scrolling and tapping, get myself to an entire lists of Apple curated playlists that could easily suit one of my many morning moods (or a mood I want to be in).
Once you find that playlist, you can then add it to your music so it's saved and ready for you the next time you're interested (It's notable, however, that as of right now these playlists only have 12-15 songs or so on them, while Spotify often has dozens).
But the idea here is not to browse in a relaxing way for the playlists that may stick out to you at any given time. Spotify goes out of its way to spoon feed you stuff you might very well love at whatever time of the day you're in.
I want to relax into my music experience, not aggressively attack it.
-- Inserted here: molecular data --
=====
1.
# C5H15N3

2 unconnected molecules or ions with the total composition C5H15N3 (ωB97M-V/def2-TZVPD, the OMol25 dataset).

The calculation puts the frontier orbital gap (alpha / beta) at 7.33 / 7.81 eV.

Structure (XYZ):
```
23
Properties=species:S:1:pos:R:3:forces:R:3
C 0.08874 -0.97505 -1.17759 -0.813 0.109 -0.467
C 1.40719 -0.42081 1.49947 0.068 0.366 -0.180
C -0.85570 -2.07805 -0.84562 -0.064 0.071 0.073
N 1.15113 0.31099 0.26193 -0.247 0.224 0.179
H 2.00250 0.61045 -0.20780 -0.145 0.215 0.308
H -0.18104 -0.34349 -2.00996 -0.126 -0.067 -0.070
H 1.10741 -1.33282 -1.30038 0.041 0.118 0.370
H 0.46317 -0.75873 1.91967 0.023 -0.037 -0.028
H 2.03509 -1.29111 1.29040 -0.051 0.041 0.011
H 1.90111 0.19461 2.25782 0.046 -0.060 0.047
H -0.57557 -2.99655 -1.37678 -0.026 0.076 0.029
H -1.88174 -1.80559 -1.08529 0.010 -0.040 0.031
H -0.82150 -2.32989 0.22418 -0.014 0.017 -0.045
C 0.34725 2.35621 -0.81508 -0.043 -0.003 0.108
N -1.87310 0.14062 1.03619 0.186 -0.276 -0.002
C 0.01970 1.29463 0.23683 0.959 -0.154 0.048
N -1.18653 0.61670 -0.11174 0.126 -0.951 0.032
H -1.51633 -0.74170 1.42034 0.217 0.198 -0.138
H -2.83338 -0.08171 0.80038 0.042 0.330 -0.296
H -0.05021 1.75642 1.23053 -0.137 -0.025 -0.072
H 1.26912 2.89588 -0.57756 -0.064 -0.060 0.012
H 0.45391 1.90568 -1.80441 -0.022 -0.050 0.050
H -0.47123 3.07329 -0.86553 0.036 -0.042 0.001
```
Positions in Å, forces in eV/Å.

---

2.
# C5H15N3

C5H15N3 in the gas phase (ωB97M-V/def2-TZVPD, the OMol25 dataset).

Its SMILES is C[C@@H](N(C)C)N(C)N. The calculation puts the frontier orbital gap at 9.20 eV.

Structure (XYZ):
```
23
Properties=species:S:1:pos:R:3:forces:R:3
C 0.53367 -0.25631 -0.41592 -0.252 -0.264 -0.312
C -1.49005 0.08633 -1.75252 0.056 -0.070 -0.150
C -1.53639 -1.58428 -0.02822 -0.151 -0.335 0.089
C 1.33230 -1.21670 0.48511 -0.289 -0.107 0.069
C 1.60159 1.79429 0.42233 -0.049 0.069 -0.289
N 0.33729 1.10123 0.16025 0.104 0.321 0.742
N -0.69546 -0.86190 -0.97327 0.287 0.323 0.469
N -0.48857 1.11071 1.35299 -0.061 -0.356 -0.589
H 1.16837 -0.11084 -1.30203 -0.107 0.421 0.187
H -0.01607 0.70615 2.16056 0.263 0.070 -0.073
H -0.75280 2.06599 1.60393 0.248 -0.344 -0.466
H -2.23982 -0.44872 -2.34654 0.138 -0.119 0.173
H -2.02241 0.80981 -1.12429 0.075 0.071 0.014
H -0.86682 0.63634 -2.46647 0.054 -0.079 0.252
H -0.99480 -2.41326 0.43855 0.068 0.200 -0.057
H -1.95329 -0.95066 0.75874 -0.011 0.078 0.063
H -2.37813 -2.05151 -0.55395 0.186 0.177 -0.119
H 1.44822 -2.19338 0.00113 -0.149 0.196 0.038
H 0.85249 -1.37479 1.45646 0.030 -0.009 -0.113
H 2.34330 -0.83799 0.66930 -0.219 0.094 -0.077
H 2.29706 1.68915 -0.41796 -0.186 -0.101 0.042
H 2.10122 1.43220 1.32843 0.051 -0.059 0.063
H 1.41910 2.86814 0.54339 -0.087 -0.179 0.044
```
Positions in Å, forces in eV/Å.

---

3.
# C5H15N3O

C5H15N3O in the gas phase in a non-equilibrium geometry (ωB97M-V/def2-TZVPD, the OMol25 dataset).

Its SMILES is CN[C@@H](O)[C@H](C)C(N)N. The calculation puts the frontier orbital gap at 9.58 eV.

Structure (XYZ):
```
24
=====
Of course, this could all change, I've only spent a few short hours with Apple Music so far and there's a lot to like outside of this playlist issue. It's also something Apple could easily fix in the future. But it's notable that as of right now, the best thing about Spotify, to me, is not really a part of Apple Music.